Assignment.
Please quote the lines further below from the one with "0.227" to the one with "5–70°:" exactly.

File.
- - -
This entry pairs a crystal structure of Li2UBr6 with its calculated PXRD pattern. Radiation: Cu Kα (λ = 1.5418 Å). Structure: a structure optimized by DFT (GGA-PBE).

Atomic structure:
Cell: 7.089 38.135 7.421 Å, 90.00 107.48 90.00°
Space group C2 (No. 5)
Inequivalent atoms, fractional coordinates:
1 Li 0.042 0.000 0.303
2 Li 0.124 0.338 0.336
3 Li 0.129 0.672 0.349
4 U 0.000 0.228 0.000
5 U 0.000 0.559 0.500
6 U 0.000 0.892 0.000
7 Br 0.144 0.060 0.222
8 Br 0.146 0.607 0.290
9 Br 0.190 0.506 0.340
10 Br 0.214 0.945 0.227
11 Br 0.230 0.279 0.236
12 Br 0.238 0.177 0.262
13 Br 0.242 0.842 0.268
14 Br 0.244 0.393 0.220
15 Br 0.245 0.727 0.222

Largest 10 diffraction maxima, sorted by position, 2θ = 5–70°:
(0 2 1), 2θ 13.34, 6.636 Å, rel. 79; (0 6 0), 2θ 13.93, 6.356 Å, rel. 77; (1 3 0), 2θ 14.84, 5.969 Å, rel. 97; (1 1 -1), 2θ 15.34, 5.777 Å, rel. 57; (0 4 1), 2θ 15.59, 5.683 Å, rel. 43; (2 0 -1), 2θ 25.58, 3.482 Å, rel. 31; (1 9 -1), 2θ 25.97, 3.430 Å, rel. 65; (1 9 1), 2θ 29.64, 3.014 Å, rel. 100; (2 0 -2), 2θ 30.59, 2.922 Å, rel. 48; (1 3 2), 2θ 32.65, 2.742 Å, rel. 32
- - -

Response.
10 Br 0.214 0.945 0.227
11 Br 0.230 0.279 0.236
12 Br 0.238 0.177 0.262
13 Br 0.242 0.842 0.268
14 Br 0.244 0.393 0.220
15 Br 0.245 0.727 0.222

Largest 10 diffraction maxima, sorted by position, 2θ = 5–70°: